July 26, 2004
We The People v. The U.S.
Case No.
Landmark Lawsuit Begins With Live National TV Coverage
And March Down Constitution Avenue
Letter From Lawsuit Counsel
On July 19, 2004, at 9 am, approximately 550 people from nearly every state
in the Union gathered in the ballroom at the National Press Club in
Washington DC. They again, were there awaiting a formal response from high
ranking federal officials to a May 10 letter respectfully requesting those
officials to attend the July 19 meeting and to respond to the People’s
Petitions for Redress of grievances regarding the government’s violation of
the taxing, war powers, privacy and money clauses of the Constitution and
Bill of Rights.
has been its established practice, the government once more, chose to ignore
the People and their Petitions. The officials did not send anyone to meet
with the People, to address the issues or to respond to the Petitions by at
least letting the People know when they would answer the People’s
From 9 am to shortly after noon, the audience (including an estimated one
million people watching the event live on C-SPAN 2 and an estimated 500,000
people listening on C-SPAN radio) was informed about the original meaning,
history and significance of the Right to Petition, the now epic struggle by
the People to get the government to respond to our Petitions, the futility
of individual lawsuits involving constitutional torts, and the particulars
of our landmark Right to Petition lawsuit that was filed that afternoon.
12:20 pm, the People marched to the District Court of the United States in
support of their lawsuit against the United States Government. The lawsuit
seeks a declaration of their Right to peaceably hold their servant
government accountable to the Constitution and the Bill of Rights, by
retaining their money until their grievances are redressed and seeks the
protection of the Court against retaliation against the plaintiffs for
exercising their Rights.

Thank You
extend a very heartfelt “Thank you,” to all those people who traveled to DC
in support of the People’s effort to restore the Constitution, in support of
the resurrection of the Right To Petition and in support the filing of this
landmark case. Your personal commitment to our cause and your direct
participation in this event helped make it the resounding success it was and
will provide a solid basis for the unfolding process of securing justice and
involving more and more of America in the active defense of Freedom.
was immensely gratifying to see so many people from so many parts of the
country come together in defense of the Constitution’s Petition clause and
its taxing, war powers, money and privacy clauses.
thank them and we thank all the People who could not make the trip to DC but
who we know were supporting us from their homes and with us in spirit,
praying for the safety and success we enjoyed during our efforts. We now
know what it is like to fly on the wings of prayers (not only by the seats
of our pants, which we do here all too often).
Again, thank you all.
C-SPAN2 broadcast our morning event from the National Press Club. They
broadcast it live (in its entirety) and at least once the following day.
sent C-SPAN a press release Friday morning, the 16th of July.
That afternoon they called us to tell us they would be broadcasting the
Monday morning event live.
have received dozens of letters, e-mails and phone calls from people who
said they had never heard of the Right to Petition or our organization, but
were now going to get involved. One man send a brief handwritten note that
said, “Saw you live (cspan2) Mon July 19-04. What an uplift for liberty!”
Along with his note was a check for $10,000.
Please note that WTP will soon be releasing video of
BOTH the morning event (from the National Press Club) and the subsequent
mass march/demonstration down Constitutional Avenue. These video products
will also include a shorter event “highlights” piece suitable for broadcast
on local public access TV stations all over the country. We are planning to
make these available on VHS and DVD (or CD-ROM) as well as low-cost
Pay-Per-View streaming. We will announce prices and availability of these
products in the near future.
If you desire copies of the morning segment of the WTP event as it was
broadcast on
C-SPAN (approximately 3.5 hrs), copies of the C-SPAN broadcast can be
ordered now directly from C-SPAN in either VHS or DVD format for $112
including shipping costs.
Please note the C-SPAN coverage does NOT include any footage of the
demonstration/march. When ordering, you will need to provide the Item
Number, which is 182760-1. For the description of the item use “Citizens and
U.S. Tax Policy.” To order by
phone, call (877) 662-7726. To order on-line go to
have also applied to C-SPAN for a license to copy and distribute the DVD and
VHS for showings in living rooms and meeting halls. We have also asked for a
license to webcast the C-SPAN video of the event in September on a pay per view basis
(tentatively $20 per view). As soon as we finalize an agreement with C-SPAN,
we will begin the technical preparations needed to stream it and make it
widespread, intense public awareness campaign communicating the importance
Someone pasted calculated molecules at this point.
- - -
1.
Computed, not measured: a structure of composition C39H30AsBrF6N7O3SSn at a distorted geometry, with the ωB97M-V functional and the def2-TZVPD basis.

Geometry (Å):
Sn  -0.31539  -1.24381  0.98018
Br  -0.92659  5.35629  4.77038
C  -0.70199  3.53979  4.23578
C  0.47451  2.86899  4.56808
C  0.64341  1.57759  4.15128
C  -0.32769  0.89309  3.37538
O  -0.08299  -0.31461  3.01818
C  -1.53099  1.60129  3.06478
C  -2.59199  1.04179  2.28498
N  -2.47499  0.03489  1.49958
C  -3.48459  -0.34021  0.63908
C  -4.30929  0.57099  0.00768
C  -5.24289  0.15789  -0.94912
C  -5.39599  -1.16731  -1.25732
C  -4.55759  -2.13161  -0.65862
C  -4.63449  -3.50991  -0.94182
C  -3.74269  -4.36921  -0.36042
C  -2.73299  -3.83881  0.44948
N  -2.65039  -2.57111  0.76128
C  -3.56309  -1.71491  0.26518
C  -1.69599  2.91509  3.52868
H  1.23651  3.36889  5.14678
H  1.54131  1.02989  4.39388
H  -3.55939  1.55409  2.37508
H  -4.18599  1.62929  0.19838
H  -5.83619  0.90809  -1.45412
H  -6.12479  -1.48491  -1.99052
H  -5.39209  -3.87341  -1.61972
H  -3.78739  -5.43271  -0.53112
H  -1.95329  -4.46781  0.85458
H  -2.59999  3.45929  3.29108
C  0.07391  6.31099  -5.28022
O  0.72601  5.15399  -4.81262
C  1.48991  5.22239  -3.71022
C  2.04391  4.00349  -3.28522
C  2.82911  3.94319  -2.16712
C  3.09381  5.11119  -1.42092
C  2.57471  6.33329  -1.87262
C  1.76891  6.38749  -2.98732
N  3.87081  5.13379  -0.30252
N  4.20171  4.19149  0.42208
C  3.61151  3.04379  0.73138
C  4.42711  1.96849  1.15168
C  3.95681  0.69149  1.17698
C  2.60791  0.37109  0.82188
O  2.20381  -0.80171  0.72958
C  1.70741  1.50419  0.59368
N  0.42241  1.23519  0.37638
C  -0.42849  2.21619  0.18998
C  -0.06769  3.55639  0.31108
C  1.24881  3.86299  0.55598
C  2.18831  2.82649  0.62478
H  -0.52249  5.98369  -6.12862
H  0.79071  7.06839  -5.60992
H  -0.58809  6.73139  -4.51822
H  1.80611  3.11559  -3.84792
H  3.26151  3.00099  -1.86602
H  2.78651  7.22859  -1.30852
H  1.35261  7.33579  -3.28972
H  5.46521  2.17719  1.35648
H  4.60411  -0.13271  1.43468
H  -1.43869  1.92939  -0.05462
H  -0.81479  4.32869  0.22588
H  1.55291  4.88689  0.71238
F  -1.59619  -0.06121  -1.30652
As  -0.82259  -0.75541  -2.71702
F  -0.31699  0.84839  -3.18512
F  -2.32619  -0.61951  -3.56942
F  -0.02679  -1.48171  -4.08012
F  -1.25799  -2.35041  -2.08762
F  0.69011  -0.91491  -1.79272
N  1.83001  -3.39951  -0.70332
C  1.35711  -4.27501  0.18598
S  0.87151  -3.77341  1.72058
N  1.35121  -5.57161  -0.19032
C  1.20231  -6.69251  0.65608
C  0.13431  -6.83491  1.53068
C  0.07571  -7.93301  2.37118
C  1.06881  -8.89581  2.34088
C  2.10711  -8.77931  1.43298
C  2.17201  -7.68731  0.58808
H  1.91981  -2.42721  -0.43512
H  1.91861  -3.61931  -1.68292
H  1.82571  -5.77251  -1.06432
H  -0.63949  -6.08831  1.56798
H  -0.74899  -8.03081  3.05998
H  1.03711  -9.72871  3.02628
H  2.88001  -9.53091  1.39198
H  2.99341  -7.59191  -0.10772

Cartesian forces, eV/Å:
-0.34 0.70 0.24
0.02 -0.10 -0.02
-0.21 0.33 0.06
-0.12 0.05 -0.08
-0.01 -0.12 -0.04
-0.16 0.54 0.08
- - -
and long-term consequences of our Right-To-Petition lawsuit is critical if
we are to receive justice in the courts and the reforms we are entitled to.
We are going to have to build public awareness, day-by-day,
community-by-community. We will need a single-mindedness of purpose from
here on out.
C-SPAN did an outstanding job. With its help we managed to jump-start the
effort with a fair amount of coverage. They deserve our thanks and praise.
Please send a note of thanks to Terry Murphy, C-SPAN’s Executive Producer:
Mr. Terry Murphy
Vice President and Executive Producer
400 North Capitol St. NW
Washington, DC 20001
DC Police: Splendid
The DC Metropolitan Police were extraordinarily
courteous and proficient in communicating with us and in handling our march,
from processing the Permit Application to assisting us as we formed up for
the march and as we marched down Pennsylvania Ave. to 12th Street
and then down Constitution Ave to the federal courthouse. Numerous
intersections needed to be closed to automobile traffic and traffic had to
be detoured. In support of the service of legal papers, the march stopped in
front of the IRS Building and then a second time in front of the Department
of Justice Building, for what must have seemed to the police like an
eternity, adding to the burden of the police.
The detail that was provided for the safe conduct of
the march did an excellent job and deserve our thanks and praise:
Police Department
Special Operations Division
2301 L Street NW
Washington, DC 20037
The Right To Petition Lawsuit
was filed as a class-action by six named plaintiffs, and “all others
similarly situated.” (.pdf)
A supporting
by Bob Schulz was
also filed. Please note these are both large .pdf
files. RIGHT-Click
these links to download the document to your computer before attempting to
Everyone is urged to read the
complaint. You will notice we have asked
the court for an order:
a. Granting declaratory relief to the Plaintiffs by constraining the
defendants to meet their obligations under the law and relevant rules by
entering into good faith exchanges with the Plaintiffs and to provide to the
Plaintiffs documented and specific answers to the reasonable questions asked
of them by the Plaintiffs and to address each of the issues raised by the
Plaintiffs in their petitions to representatives of the United States
Government, namely: grievances relating to violations of the U.S.
Constitution’s war powers, taxing, money, and “privacy” clauses ; and
b. Granting a temporary injunction against the United States Internal
Revenue Service and the Department of Justice and any other agency of the
United States that arguably may act in this matter under color of law, from
taking any further retaliatory actions against the named Plaintiffs in this
proceeding and against all others similarly situated, whether such
retaliation is for attempting to petition the United States Government, for
serving as Plaintiffs in this action or for the exercise of any other rights
protected by the Constitution of the United States; and
c. Retaining jurisdiction of this action to ensure compliance with the
Court’s decisions; and
d. Expediting these proceedings where this matter might be set for
trial; and
Granting any other, non-financial relief to the Plaintiffs that the Court
may deem proper.
We will soon be amending the complaint, adding at
least 3,000 named plaintiffs, or more! This means the names and
addresses of over 3000 plaintiffs will be added to the caption, making the
caption very long, indeed.
Letter From Mark Lane
This means we have a lot of work to do over the next
couple of weeks.
To begin with, it is important that all plaintiffs
(and those who would like to be a plaintiff) read the
from our attorney, Mark Lane and
promptly comply with its requests.
When we amend the complaint to add the 3,000 named
plaintiffs, we will also formally move
the court to expedite the proceeding. We will, of course, have to justify
such a motion. The primary justification will be the immediate and
irreparable harm and injury many of the plaintiffs are suffering due to the
government’s retaliation against them.
Therefore, we are asking all plaintiffs to
on-line, some of the details about their
individual petitions for redress, that is, their individual
attempts to get the government to answer their questions. Have you sent a
letter to your congressman that did not receive a responsive answer? To IRS?
To anyone else in the federal government? If so, we need you to summarize
that information on-line, in your own words. (Please
note this database subsystem is still currently "under construction.")
We are also asking those plaintiffs who are
experiencing retaliation to describe, on-line, the nature and extent of that
individual retaliation. Has the government sent you threatening letters or
summonses? Have they placed liens or levies on your property or wages? Have
they raided your house or office? Have they indicted you? Are they
prosecuting you for willful failure to withhold or willful failure to file?
Are they threatening legal or “enforcement” action? Have you experienced
fear or other physical stress?
Have you been intimidated by their public pronouncements regarding
“enforcement” into paying your taxes even though you have desired only to
fully exercise and secure your Constitutionally protected Rights? Have you
incurred direct financial loss, expense, or other opportunity costs (e.g.,
lost business, friendships, opportunities, etc.) in your efforts to secure
your Rights? If so, we need you to summarize that information, on-line, in
your own words.
Although the on-line system for providing such information will not be
available for a number of days, it is very important to start considering
and articulating your PERSONAL experiences and efforts to secure your Rights
in order to establish, beyond doubt, your standing and your injury as a
party in the lawsuit. Remember – as a plaintiff you may also be called upon
by the Court to defend your statements.
Next, it is critical that we receive a signed and
affidavit from each
named plaintiff.
You MUST submit a notarized affidavit to be a plaintiff in the case. At
a minimum, this affidavit must state that you have participated in the
Petitioning process as specified in the
letter from
Mark Lane. So far, we have received in excess of 1500 signed
affidavits. Use the text version of the affidavit if you need to
modify the draft language for your specific circumstances. Be sure to
include your mailing address.
Frequently Asked Questions
We will soon
be arranging for an on-line e-forum where Plaintiffs (and potential
plaintiffs) can ask questions directly of the lead counsel, Mark Lane. We
will also be constructing and maintaining a “Frequently Asked Questions”
(FAQ) page for the lawsuit. Finally, please note that Mark Lane will be
setting aside several hours per week to directly answer your phone calls and
to answer your questions. Details
concerning his specific availability, the number to call, etc. will be
released soon.
Before calling Mark Lane with your personal questions about the lawsuit, we
STRONGLY urge you to first e-mail your questions to
bob@givemeliberty.org and to visit our
FAQ page
to see if your questions have already been addressed.
Photos and Videos
Many people took photos of the event, both inside the National Press Club
and outside, during the march. We are grateful for all the photos we have
received and we encourage people to send any more that they may have.
are especially grateful for the more than 200 photos provided by Michigan
professional photographer, Todd Johnson. Rather than include copies of
Todd’s photos here (adding immensely to the size of this article), we are
providing a link to
Todd’s web site
where all of his excellent photos can be viewed.
not too late to join the lawsuit….
The legal process will take significant time to fully play out and we expect
more and more Americans to join us as they learn of our
battle to save the Constitution.
Please go to the
Lawsuit Information Center
to learn more about the suit, to read the legal research about the Right to Petition and for complete
instructions on how to become a plaintiff.
Please also remember, although there is NO cost to become a plaintiff or to
seek the protection of the court against IRS and DOJ, the very substantial
legal costs and expenses of generating public awareness of the lawsuit are
being funded solely by donations to the WTP Foundation.
Please consider a regular, monthly scheduled donation to support our cause
and provide us with a steady source of funding so that we can execute the
activities needed to secure our noble goals.
To Join the RTP class action lawsuit, GO TO THE
Lawsuit Information Center
Click Here to
donate and help finance this vital project to protect the
Read and sign the
Petitions for Redress of Grievances
regarding the Government's
abuse of its limited war-making, taxing, and monetary powers and its ongoing
on the Bill of Rights.
Click Here to obtain a copy of the
Give Me Liberty 2004
conference record. 26+ Hours of "must-see"
freedom video -- the leading voices on reclaiming our Republic & the
right to Petition...
On (4) VHS tapes or (8) CD-ROMs.